Apprenticeships crisis a myth

== Calculated crystals, kept here for reference ==
- - -
# FeAu2Br (PBE-GGA, optimized geometry)
# **E**: -3.734 eV/atom
# **ΔE to the lowest computed polymorph**: 1.20 eV per formula unit
# **D(E_F)**: 0.9195 states/eV per atom
data_FeAu2Br
_cell_length_a 5.398
_cell_length_b 11.610
_cell_length_c 3.288
_cell_angle_alpha 90.00
_cell_angle_beta 127.39
_cell_angle_gamma 90.00
_space_group_name_H-M_alt 'C 1 2/m 1'
_space_group_IT_number 12
_space_group_name_Hall '-C 2y'
loop_
_atom_site_label
_atom_site_type_symbol
_atom_site_fract_x
_atom_site_fract_y
_atom_site_fract_z
Fe1 Fe 0.000 0.000 0.000
Au1 Au 0.250 0.250 0.000
Br1 Br 0.000 0.500 0.000
- - -

One of the most common arguments in the vocational education and training (VET) debate, claimed by both sides of politics and industry leaders, has been debunked.
Monday 21 August 2017

One of the most common arguments in the vocational education and training (VET) debate, claimed by both sides of politics and industry leaders, has been debunked.

A new report by Mitchell Institute at Victoria University finds that many high-profile comments from the past twelve months have overstated the level of decline in apprenticeships.

Professor of Tertiary Education Policy, Peter Noonan explained that when debating VET and skills policy, the term ‘apprenticeships’ is commonly misused.

-- Crystal structures from another source follow --
/*
[1]
{
  "formula": "CaScSbO2",
  "functional": "GGA-PBE",
  "state": "relaxed",
  "m_tot_mub_per_atom": 0.197,
  "final_energy_ev_per_atom": -5.67,
  "cell": [[4.121, 0.000, 0.000], [0.000, 9.577, 0.000], [0.000, 0.000, 4.121]],
  "species": ["Sc", "Sb", "Ca", "O", "O"],
  "frac_coords": [[0.000, 0.000, 0.000], [0.500, 0.500, 0.500], [0.000, 0.500, 0.000], [0.000, 0.000, 0.500], [0.500, 0.000, 0.000]]
}

---

[2]
{
  "formula": "Tl3Ag2I3Br2",
  "functional": "GGA-PBE",
  "state": "relaxed",
  "m_tot_mub_per_atom": 0.000,
  "final_energy_ev_per_atom": -2.58,
  "cell": [[5.216, 0.000, 0.000], [0.000, 5.216, 0.000], [-2.608, -2.608, 14.380]],
  "species": ["Tl", "Tl", "Tl", "Ag", "Ag", "I", "I", "I", "Br", "Br"],
  "frac_coords": [[0.629, 0.629, 0.259], [0.371, 0.371, 0.741], [0.000, 0.000, 0.000], [0.785, 0.785, 0.571], [0.215, 0.215, 0.429], [0.883, 0.883, 0.766], [0.500, 0.500, 0.000], [0.117, 0.117, 0.234], [0.750, 0.250, 0.500], [0.250, 0.750, 0.500]]
}

---

[3]
{
  "formula": "Ce2ThBi3",
  "functional": "GGA-PBE",
  "state": "relaxed",
  "m_tot_mub_per_atom": 0.336,
  "final_energy_ev_per_atom": -5.89,
  "ef_ev_per_atom": -0.730,
  "cell": [[13.805, 0.000, 0.000], [0.000, 6.514, -0.016], [0.000, 0.005, 9.201]],
  "species": ["Ce", "Ce", "Ce", "Ce", "Ce", "Ce", "Ce", "Ce", "Th", "Th", "Th", "Th", "Bi", "Bi", "Bi", "Bi", "Bi", "Bi", "Bi", "Bi", "Bi", "Bi", "Bi", "Bi"],
  "frac_coords": [[0.250, 0.749, 0.125], [0.250, 0.749, 0.625], [0.583, 0.750, 0.124], [0.917, 0.750, 0.624], [0.083, 0.250, 0.376], [0.417, 0.250, 0.876], [0.750, 0.251, 0.375], [0.750, 0.251, 0.875], [0.916, 0.751, 0.125], [0.584, 0.751, 0.625], [0.416, 0.249, 0.375], [0.084, 0.249, 0.875], [0.417, 0.749, 0.375], [0.083, 0.749, 0.875], [0.083, 0.750, 0.374], [0.417, 0.750, 0.874], [0.750, 0.751, 0.375], [0.750, 0.751, 0.875], [0.250, 0.249, 0.125], [0.250, 0.249, 0.625], [0.583, 0.250, 0.126], [0.917, 0.250, 0.626], [0.917, 0.251, 0.125], [0.583, 0.251, 0.625]]
}

---

[4]
{
  "formula": "Hf5HgN",
  "functional": "GGA-PBE",
  "state": "relaxed",
  "m_tot_mub_per_atom": 0.000,
  "final_energy_ev_per_atom": -8.39,
  "cell": [[-2.733, 0.743, 3.053], [0.662, -3.820, 1.522], [5.555, 2.684, 4.320]],
  "species": ["Hf", "Hf", "Hf", "Hf", "Hf", "Hg", "N"],
  "frac_coords": [[0.500, 0.500, 0.000], [0.500, 0.000, 0.309], [0.000, 0.500, 0.309], [0.500, 0.000, 0.691], [0.000, 0.500, 0.691], [0.000, 0.000, 0.000], [0.000, 0.000, 0.500]]
}


The following is a GGA-PBE calculation of a relaxed Ac2Pr3NdN6 crystal, from Alexandria.

Cell lengths 8.4494, 8.4494, 7.5282 Å; angles 102.88, 102.88, 25.65 degrees
Fractional positions:
Ac: 0.1656 0.1656 0.3284
Ac: 0.8344 0.8344 0.6716
Pr: 0.1606 0.1606 0.8327
Pr: 0.5000 0.5000 0.5000
Pr: 0.8394 0.8394 0.1673
Nd: 0.5000 0.5000 0.0000
N: 0.0021 0.0021 0.7533
N: 0.3393 0.3393 0.4085
N: 0.3403 0.3403 0.9258
N: 0.6597 0.6597 0.0742
N: 0.6607 0.6607 0.5915
N: 0.9979 0.9979 0.2467

Values from the calculation:
Space group: C2/m
*/

“We often hear ‘apprenticeship’ used by people referring to both traditional trade-based apprenticeships and traineeships, but they are two different systems,” Professor Noonan said.

(Records of crystals from another source follow)
=====
# 1
# Zn2CuGeTe

A geometry-optimized Zn2CuGeTe structure (PBE-GGA, the Alexandria database).

a = 4.7449 Å, b = 4.7449 Å, c = 4.7246 Å
α = 90.00°, β = 90.00°, γ = 90.00°
Space group P4/mmm (No. 123)
Inequivalent atoms, fractional coordinates:
Zn  0.0000  0.5000  0.0000 [2 per cell]
Cu  0.0000  0.0000  0.0000 [1 per cell]
Ge  0.0000  0.0000  0.5000 [1 per cell]
Te  0.5000  0.5000  0.5000 [1 per cell]

Output
The uncorrected formation energy comes out at 243 meV/atom. For the density of states at the Fermi level, the calculation gives 2.9 states/eV/f.u.

---

# 2
# PuPa5As6

A geometry-optimized PuPa5As6 structure (PBE-GGA, the Alexandria database).

a = 7.1023 Å, b = 12.2982 Å, c = 7.1009 Å
α = 90.00°, β = 109.46°, γ = 90.00°
Space group C2/m (No. 12)
Inequivalent atoms, fractional coordinates:
Pu  0.0000  0.0000  0.0000 [2 per cell]
Pa  0.0000  0.1656  0.5000 [4 per cell]
Pa  0.0000  0.3332  0.0000 [4 per cell]
Pa  0.0000  0.5000  0.5000 [2 per cell]
As  0.2491  0.3328  0.7491 [8 per cell]
As  0.2487  0.5000  0.2498 [4 per cell]

Output
The value obtained for the formation energy is -1.067 eV per atom. For the density of states at the Fermi level, the calculation gives 18.2 states/eV/f.u.

---

# 3
# Tb5HgOs2

A geometry-optimized Tb5HgOs2 structure (PBE-GGA, the Alexandria database).

a = 7.7928 Å, b = 7.7928 Å, c = 13.4313 Å
α = 90.00°, β = 90.00°, γ = 90.00°
Space group I4/mcm (No. 140)
Inequivalent atoms, fractional coordinates:
Tb  0.0000  0.0000  0.0000 [4 per cell]
Tb  0.1586  0.3414  0.1328 [16 per cell]
Hg  0.0000  0.0000  0.2500 [4 per cell]
Os  0.1407  0.3593  0.5000 [8 per cell]

Output
The value obtained for the formation energy is -0.330 eV per atom. For the density of states at the Fermi level, the calculation gives 5.7 states/eV/f.u.

---

# 4
# CeNd2Si

A geometry-optimized CeNd2Si structure (PBE-GGA, the Alexandria database).

a = 4.8003 Å, b = 4.8003 Å, c = 4.5523 Å
α = 90.00°, β = 90.00°, γ = 90.00°
Space group P4/mmm (No. 123)
Inequivalent atoms, fractional coordinates:
Ce  0.0000  0.0000  0.0000 [1 per cell]
Nd  0.0000  0.5000  0.5000 [2 per cell]
Si  0.5000  0.5000  0.0000 [1 per cell]

Output
The energy relative to the lowest polymorph listed for this composition is 0.0 meV per atom. The uncorrected formation energy comes out at -248 meV/atom. For the density of states at the Fermi level, the calculation gives 6.2 states/eV/f.u.
=====
(The article goes on)

“Politicians and industry leaders understand the difference between apprenticeships and traineeships, but often present information relating to both as being about apprenticeships only – creating a misleading picture about the state of the traditional trade-based apprenticeship system.

“When looking at apprenticeships alone, the situation is not nearly as serious as most claims suggest.”

The report explains that apprenticeships are largely in the trades; areas like electrical, plumbing, construction, commercial cooking and automotive repair. While traineeships cover a wider range of occupations, mainly in the services and personal care sectors, like hospitality and childcare.

When separating the two systems, findings show no sign of a ‘crisis’ around apprenticeships and in fact, some trade apprenticeships increased over recent years. Furthermore, the report notes that declines in apprenticeships in specific industries were due to external factors, not a result of reductions in government funding – although both sides of politics and industry bodies have claimed the latter.

Traineeships, which aim to address youth unemployment, were used by more people aged 45 and over than people aged 20-24 in 2012 (43,000 compared to 41,000). This growth was in ‘existing worker’ traineeships, driven by government employer incentives. The Labor Government addressed this issue in 2012, tightening eligibility for employer incentives and focusing on skills shortage areas and labour market priorities. This soundly based decision resulted in a decline in traineeships from 2012.

Professor Noonan said misleading claims about apprenticeships and traineeships are distracting from the factors that should help inform policy decisions.

“If we have learned anything about the VET system in recent years it is that incentives should only be provided where there is demonstrable public benefit, not to create a market in government subsidies.

“Both apprenticeships and traineeships play a critical role in building the skills base for our future workforce – this is the only goal that should determine reform.”

Media contact: Julia Johnston, 03 9919 4549, 0401 136 114, [email protected]